📅 June 03 - June 09 | Real “Digital Transformation” and what it looks like

Another week done with a flurry of activity more towards the end of the week than in the middle.

I’ve been working with a client, helping one of their clients implement some basic first steps in digital transformation. Conversely to others, when I talk about Digital Transformation, I’m being very specific in my definition. I’ve talked much about the uses and abuses of the term, and it seems that I am still swimming against the current. Anyway, back to what Digital Transformation really means for MSMEs.

The company deals with several bills and invoices and requires a more robust tracking and analysis system. The basic workflow is understood, but the tools currently used are a mix of manual, brain storage, and other shoestring systems. As part of the work, the end users documented the process from start to finish, taking into consideration as much as possible. My role involved re-documenting this workflow and translating it into a technical specification, then proposing a technical solution that met the customer requirements. I then set up a PoC and demonstrated it to the client, who approved it with a few modifications. This week was the setup of the system and putting it into the clients’ hands for testing before generalisation. As always in these types of projects, the act of setting it up for actual use (even as a test) provoked some discussions where the client thought of things that were initially forgotten and things that would be “nice to have”. I’ll work on some of that in the coming days and weeks.

However, what is startling is that when you start to work closely with an organisation, you see the enormous opportunity to help them digitalise the most basic of systems that are scrabbled together. This work can provide tangible benefits to the businesses for a minimal outlay.

Much of it can be done by purchasing specialised applications, but generally, those applications are too sophisticated and not adapted to the inner workings of MSMEs. I aim to get those businesses using tools specifically adapted to them with little to no outlay on extra software.


Unless you’ve been under a rock for the last year or two, you’ve no doubt encountered a plethora of articles about generative AI (genAI) and how it is going to “change everything”. I don’t believe it. Development and capacity have considerably slowed over the last nine to twelve months, indicating that in its current form, these LLMs (Large Language Models) are nearing the end of their run. I also think we humans are getting much better at spotting their weaknesses. We are uncannily adept at this, having hundreds of thousands of years of development and practice structured in our brains. The following article I forgot to link to previously is a good primer on what is actually going on inside an LLM.1

A much deeper look from Stephen Wolfram can be found online.2

If there is one computing platform that changed everything for me, it was the Commodore Amiga. I keep threatening to write a deep dive into the origins and outcomes of one of the most sophisticated computers the world had ever seen at the time. It is, unfortunately, no surprise to hear that the curse that has plagued the platform continues.3

When using the internet, most of us do not think about the infrastructure that allows us to stream music, communicate in real-time, etc. Only when that goes bad do we realise that infrastructure is essential. When a ship sank off the coast of Yemen, damaging undersea cables that affected millions of users of the Internet, it caused political disputes over access to the waters for the ships tasked with repairing the damage.4 I would recommend this issue of The Continent for an extensive article on life onboard the ships that fix the Internet for us, in what are surely very difficult circumstances.5

Lastly, this discussion about the ownership rights of genAI-generated code is a good example of the minefield upon us. Let’s not even start to contemplate what it means to cybersecurity!6

Between two parts of the piece: calculated crystals >
No. 1
Theoretical X-ray powder pattern of Zr3Ta for Cu Kα (λ = 1.5418 Å), from a crystal structure in Alexandria, relaxed with GGA-PBE.
Kinematic intensities with the Lorentz-polarization factor, no thermal factor.

Atomic structure:
```
data_Zr3Ta
_chemical_formula_sum 'Zr6 Ta2'
_symmetry_space_group_name_H-M 'P m m n'
_symmetry_Int_Tables_number 59
_cell_length_a 5.118
_cell_length_b 6.109
_cell_length_c 5.604
_cell_angle_alpha 90.00
_cell_angle_beta 90.00
_cell_angle_gamma 90.00
loop_
_symmetry_equiv_pos_as_xyz
'x,y,z'
'-x,-y,-z'
'-x+1/2,-y+1/2,z'
'x+1/2,y+1/2,-z'
'x+1/2,-y,-z'
'-x+1/2,y,z'
'-x,y+1/2,-z'
'x,-y+1/2,z'
loop_
_atom_site_label
_atom_site_fract_x
_atom_site_fract_y
_atom_site_fract_z
Zr1 0.250 0.002 0.145
Zr2 0.250 0.250 0.625
Ta1 0.250 0.750 0.655
```

Most intense lines, 2θ = 5–70°, in order of rising 2θ:
4.130 Å, 2θ 21.52, rel. 109, hkl 0 1 1; 2.682 Å, 2θ 33.41, rel. 426, hkl 0 2 1; 2.559 Å, 2θ 35.06, rel. 499, hkl 2 0 0; 2.458 Å, 2θ 36.56, rel. 818, hkl 1 0 2; 2.376 Å, 2θ 37.87, rel. 1000, hkl 1 2 1; 1.851 Å, 2θ 49.21, rel. 283, hkl 2 2 1; 1.594 Å, 2θ 57.86, rel. 186, hkl 0 2 3; 1.457 Å, 2θ 63.88, rel. 157, hkl 3 0 2; 1.440 Å, 2θ 64.76, rel. 203, hkl 3 2 1; 1.353 Å, 2θ 69.50, rel. 242, hkl 2 2 3

No. 2
Theoretical X-ray powder pattern of Nd4Dy6Th for Cu Kα (λ = 1.5418 Å), from a crystal structure in Alexandria, relaxed with GGA-PBE.
Kinematic intensities with the Lorentz-polarization factor, no thermal factor.

Atomic structure:
```
data_Nd4Dy6Th
_chemical_formula_sum 'Nd16 Dy24 Th4'
_symmetry_space_group_name_H-M 'C m c m'
_symmetry_Int_Tables_number 63
_symmetry_space_group_name_Hall '-C 2c 2'
_cell_length_a 5.821
_cell_length_b 9.661
_cell_length_c 25.938
_cell_angle_alpha 90.00
_cell_angle_beta 90.00
_cell_angle_gamma 90.00
loop_
_atom_site_label
_atom_site_fract_x
_atom_site_fract_y
_atom_site_fract_z
Nd1 0.000 0.038 0.123
Nd2 0.000 0.346 0.044
Dy1 0.000 0.000 0.000
Dy2 0.000 0.038 0.250
Dy3 0.000 0.306 0.603
Dy4 0.000 0.369 0.184
Th1 0.000 0.299 0.750
```

Most intense lines, 2θ = 5–70°, in order of rising 2θ:
2.974 Å, 2θ 30.05, rel. 785, hkl 1 1 7; 2.940 Å, 2θ 30.40, rel. 582, hkl 0 2 7; 2.910 Å, 2θ 30.72, rel. 763, hkl 2 0 0; 2.818 Å, 2θ 31.76, rel. 1000, hkl 1 3 0; 2.801 Å, 2θ 31.95, rel. 392, hkl 1 3 1; 2.718 Å, 2θ 32.95, rel. 508, hkl 1 1 8; 2.068 Å, 2θ 43.77, rel. 432, hkl 2 2 7; 1.662 Å, 2θ 55.28, rel. 247, hkl 3 3 0; 1.612 Å, 2θ 57.14, rel. 191, hkl 2 4 8; 1.406 Å, 2θ 66.48, rel. 175, hkl 2 6 1

No. 3
Theoretical X-ray powder pattern of Dy5Hg2N for Cu Kα (λ = 1.5418 Å), from a crystal structure in Alexandria, relaxed with GGA-PBE.
Kinematic intensities with the Lorentz-polarization factor, no thermal factor.

Atomic structure:
```
data_Dy5Hg2N
_chemical_formula_sum 'Dy20 Hg8 N4'
_symmetry_space_group_name_H-M 'C m c m'
_symmetry_Int_Tables_number 63
_symmetry_space_group_name_Hall '-C 2c 2'
_cell_length_a 3.661
_cell_length_b 20.099
_cell_length_c 12.904
_cell_angle_alpha 90.00
_cell_angle_beta 90.00

Have a great week.

  1. https://arstechnica.com/ai/2024/05/heres-whats-really-going-on-inside-an-llms-neural-network/ ↩︎

  2. https://writings.stephenwolfram.com/2023/02/what-is-chatgpt-doing-and-why-does-it-work/ ↩︎

  3. https://www.osnews.com/story/139733/company-behind-amiga-os-4-seems-to-be-either-going-or-is-in-fact-bankrupt/ ↩︎

  4. https://circleid.com/posts/20240508-yemens-submarine-cable-repairs-hindered-by-political-dispute ↩︎

  5. https://www.thecontinent.org/_files/ugd/287178_3df7d9df092d49a89d01dd2c28778b52.pdf ↩︎

  6. https://go.theregister.com/feed/www.theregister.com/2024/05/15/ai_coding_complications/ ↩︎

Matthew Cowen @matthewcowen